Could you quote every line below that contains the word "charge"?

=====
A structure of composition C17H31Br12O at a distorted geometry, computed with wB97M-V/def2-TZVPD.

Calculated values
- Relative energy (zero: lowest compared OMol25 entry of this formula, charge and spin): 0.0 kJ/mol
- Frontier orbital gap: 3.29 eV
- Spin multiplicity: 1
- Charge: -1
- HOMO: -0.0608 Ha
- E_tot: -31629.60712 hartree

Structure (XYZ):
```
61
Properties=species:S:1:pos:R:3:forces:R:3
C -2.7437 1.5067 -1.4869 0.7 0.0 0.4
C -1.8754 0.4782 -0.7020 -0.5 0.8 -0.3
C -1.1984 -0.5144 -1.6373 -0.5 -0.3 0.4
C -0.8424 -1.8828 -1.0439 1.0 0.2 -0.5
C 0.4682 -1.9174 -0.2394 -0.8 -0.4 0.1
C 0.3357 -1.1722 1.0781 1.0 -0.4 -0.5
C 1.4840 -1.3725 2.0892 -0.8 0.6 0.3
C 1.7554 0.0037 2.7046 0.0 -0.2 -0.5
C 2.5358 0.8854 1.7260 0.1 0.4 0.9
C 2.0888 2.3535 1.7573 -0.3 -0.3 0.0
C 1.3747 2.7294 0.4745 0.3 0.1 -0.5
C 2.3064 2.9782 -0.7358 -0.3 0.4 0.5
O 3.6372 2.5022 -0.5902 -0.2 -0.3 -0.3
C 3.9652 1.3379 -1.3260 0.3 0.3 0.2
H -2.0323 1.9873 -2.1924 -0.2 0.0 -0.3
H -2.9560 2.3192 -0.7596 -0.5 0.0 -0.1
H -2.4917 -0.0463 0.0318 -0.1 -0.2 0.1
H -1.1324 1.0343 -0.1262 0.4 -0.2 0.3
H -0.3292 -0.0378 -2.0917 0.2 -0.1 -0.1
H -1.9082 -0.6899 -2.4456 -0.1 0.1 -0.2
H -1.6592 -2.2747 -0.4407 -0.2 0.0 0.1
H -0.6967 -2.5883 -1.8684 -0.2 -0.1 -0.1
H 1.2651 -1.5118 -0.8614 0.2 0.1 0.0
H 0.7076 -2.9684 -0.0560 0.2 -0.1 0.1
H -0.6161 -1.4581 1.5122 -0.2 0.2 0.3
H 0.3159 -0.1199 0.8352 -0.4 0.3 0.0
H 1.1143 -2.0145 2.8783 0.3 -0.5 0.0
H 2.3753 -1.7956 1.6320 0.1 -0.1 0.0
H 2.2325 -0.0446 3.6829 0.2 0.0 0.1
H 0.7721 0.4494 2.8402 -0.2 0.1 0.3
H 3.5844 0.8376 2.0054 0.3 -0.2 -0.3
H 2.3910 0.5048 0.7233 0.2 -0.2 -0.2
H 1.3768 2.4700 2.5732 -0.1 0.1 0.2
H 2.9083 3.0333 1.9684 0.2 0.1 -0.1
H 0.8009 3.6325 0.6230 -0.2 0.3 0.0
H 0.6416 1.9766 0.1975 -0.1 -0.3 0.2
H 2.3846 4.0557 -0.8713 0.2 0.2 0.0
H 1.8223 2.5953 -1.6334 0.1 -0.2 -0.2
H 4.9410 1.4953 -1.7817 0.2 0.0 -0.1
H 4.0475 0.4734 -0.6690 -0.1 -0.2 0.0
H 3.2618 1.1314 -2.1282 -0.3 0.0 0.0
C 0.5577 -0.1764 -5.7319 -0.1 0.0 0.1
Br -0.1719 -1.7036 -4.8168 0.1 0.1 -0.1
Br -0.7197 0.5955 -6.9518 0.0 0.0 0.0
Br 1.2385 1.1400 -4.5010 0.0 0.0 -0.1
H 1.3917 -0.5226 -6.3226 0.0 0.0 0.0
C -1.4350 -3.8690 3.8837 -0.1 0.1 -0.1
Br 0.0410 -4.7588 3.0199 -0.1 0.0 0.0
Br -0.8880 -2.2464 4.7678 0.0 -0.1 0.1
Br -2.8631 -3.5237 2.6405 0.1 -0.1 0.0
H -1.8100 -4.5407 4.6405 0.0 0.0 0.0
C -1.8079 5.9481 1.3827 0.0 -0.1 -0.1
Br 0.0470 6.1056 1.8856 0.1 0.2 0.1
Br -2.4944 7.6044 0.6614 0.0 0.1 0.0
Br -2.0703 4.4557 0.1934 -0.1 -0.3 -0.2
H -2.3626 5.7405 2.2854 0.0 0.1 0.1
C -4.6930 -6.1568 -0.4448 0.0 0.1 0.0
Br -2.9529 -6.8577 -0.0047 0.0 0.0 0.0
Br -4.6890 -4.2348 -0.4783 0.0 0.0 -0.1
Br -5.3623 -6.8969 -2.0946 0.0 0.0 0.0
H -5.3682 -6.4646 0.3393 0.0 0.0 0.0
```
Forces are in eV/Å.

=====

An isolated molecule of C17H31Br2ClF3INOPS at a distorted geometry, computed with wB97M-V/def2-TZVPD.

Calculated values
- Frontier orbital gap: 8.74 eV
- Spin multiplicity: 1
- Charge: 0
- SMILES: CC[C@@H](I)P(CCCS)(CCCCl)(CC[C@@](F)(Br)C(F)(F)Br)CC(=O)N(C)C
- HOMO: -0.3102 Ha
- E_tot: -7741.30960 hartree

Structure (XYZ):
```
59
Properties=species:S:1:pos:R:3:forces:R:3
C -3.9992 -1.5534 -1.4534 0.1 -0.7 1.0
C -2.7178 -1.2649 -0.6258 -0.9 0.1 -0.9
C -1.5170 -0.7582 -1.4552 -1.1 0.0 0.6
I -2.2810 0.6853 -2.9323 0.2 -0.1 0.2
P -0.0167 -0.0556 -0.4036 0.4 -0.5 -0.5
C 0.2655 -1.7835 0.2641 0.4 -0.5 -0.3
C 0.8360 -2.7785 -0.7807 -0.6 -0.1 0.2
C 1.5286 -3.9526 -0.0683 -1.4 0.3 -0.3
S 1.3825 -5.5017 -1.0177 0.9 -0.5 -0.1
C 0.8643 0.3193 -2.0344 1.4 -0.5 1.1
C 2.4134 0.2041 -2.0224 -0.4 0.4 -1.0
C 2.8724 0.0732 -3.4896 0.2 0.4 0.8
Cl 4.4190 0.9729 -3.7089 0.0 -0.4 -0.2
C -1.0859 1.2277 0.4036 -0.4 0.9 -0.7
C -0.5045 2.6734 0.2863 -0.7 -1.3 0.9
C -1.6003 3.6999 0.0953 1.2 0.6 0.3
F -2.0974 3.6745 -1.1437 -0.5 -0.1 -0.7
Br -3.0418 3.4697 1.3862 -0.1 0.0 -0.1
C -1.0256 5.1369 0.3243 -0.5 -1.2 0.2
F -0.7371 5.2644 1.6066 1.0 0.0 1.1
F -1.9552 6.0256 0.0921 -1.0 1.1 -0.9
Br 0.5269 5.4871 -0.7544 0.1 0.1 -0.2
C 1.5034 0.5550 0.6384 -0.3 -0.1 0.9
=====

- Relative energy (zero: lowest compared OMol25 entry of this formula, charge and spin): 0.0 kJ/mol